5 important thing to do when you book your holiday. - MissLJBeauty

5 important thing to do when you book your holiday.

-- These calculated crystals were left in the text by mistake --
~~~
# Mg6CdW
Computed powder X-ray diffraction pattern, Cu Kα (λ = 1.5418 Å). Input: the GGA-PBE geometry in the Materials Project.
Kinematic intensities with the Lorentz-polarization factor, no thermal factor.

a = 4.8976 Å, b = 6.1905 Å, c = 10.7032 Å
α = 90.00°, β = 90.00°, γ = 90.00°
Space group Amm2 (No. 38)
Inequivalent atoms, fractional coordinates:
Mg 0.0000 0.0000 0.0000
Mg 0.0000 0.0000 0.4900
Mg 0.0000 0.2349 0.2352
Mg 0.5000 0.2473 0.9058
Cd 0.5000 0.0000 0.6570
W 0.5000 0.0000 0.1555

The 10 most intense peaks (2θ = 10–80°), in order of rising 2θ:
Position (°2θ)	I (rel.)	(hkl)
16.6	57	0 0 2
18.1	38	1 0 0
24.6	40	1 0 2
33.5	42	0 2 2
34.3	18	1 2 0
36.7	23	2 0 0
38.3	100	1 0 4
50.5	26	2 2 2
67.2	19	3 0 4
72.3	18	2 4 0

----------

No. 1
Sb3H2Rh6: simulated powder diffractogram (λ = 1.5418 Å (Cu Kα)), based on the PBE geometry in Alexandria.
Kinematic intensities with the Lorentz-polarization factor, no thermal factor.

Most intense lines, 2θ = 10–80°, by intensity:
2θ = 41.5°, intensity 100; 2θ = 46.0°, intensity 57; 2θ = 33.2°, intensity 41; 2θ = 36.5°, intensity 36; 2θ = 37.8°, intensity 20; 2θ = 65.0°, intensity 20; 2θ = 22.9°, intensity 19; 2θ = 67.1°, intensity 18; 2θ = 43.3°, intensity 17; 2θ = 61.0°, intensity 10

Structure:
```
Sb3H2Rh6
1.0
-1.973 1.973 10.447
1.973 -1.973 10.447
1.973 1.973 -10.447
Sb H Rh
3 2 6
Direct
0.000 0.000 0.000
0.177 0.177 0.000
0.823 0.823 0.000
0.419 0.419 0.000
0.581 0.581 0.000
0.090 0.590 0.500
0.298 0.298 0.000
0.410 0.910 0.500
0.590 0.090 0.500
0.702 0.702 0.000
0.910 0.410 0.500
```

No. 2
Sm2SbHRh6: simulated powder diffractogram (λ = 1.5418 Å (Cu Kα)), based on the PBE geometry in Alexandria.
Kinematic intensities with the Lorentz-polarization factor, no thermal factor.

Most intense lines, 2θ = 10–80°, by intensity:
2θ = 40.7°, intensity 100; 2θ = 34.7°, intensity 60; 2θ = 35.5°, intensity 59; 2θ = 59.0°, intensity 39; 2θ = 28.5°, intensity 20; 2θ = 71.2°, intensity 12; 2θ = 44.3°, intensity 11; 2θ = 69.7°, intensity 11; 2θ = 60.1°, intensity 10; 2θ = 75.1°, intensity 10

Structure:
```
Sm2SbHRh6
1.0
-3.081 3.191 4.429
3.081 -3.191 4.429
3.081 3.191 -4.429
Sm Sb H Rh
2 1 1 6
Direct
0.246 0.246 0.000
0.754 0.754 0.000
0.000 0.500 0.500
0.500 0.000 0.500
0.281 0.781 0.500
0.286 0.224 0.510
0.286 0.776 0.061
0.714 0.224 0.939
0.714 0.776 0.490
0.719 0.219 0.500
```
~~~

vwe camper van on the beach in summer

Can you actually believe its August already? If you have been a follower for a while you may know I am away to Andorra for 3 weeks on the 20th of August. We have been planning this trip for so long it seemed like it would never come. Whilst I was doing all my planning I thought it would be a good idea to share with you my 5 things to do when planning a longer trip. 

1. First, I need Medical travel insurance. I have to buy medical travel insurance as like a lot of people. I have a pre consisting medical condition. I have asthma and IBS. I have a friend who once went on holiday. She just bought whatever travel insurance was the cheapest and she didn't put much thought into the cover. She did not specify that like me she has asthma. I bet you know where I am going. She had her first asthma attack in years and ended up in an A&E department in the USA. This was a huge costly mistake as her insurance did not pay for her treatment. As you can imagine the bill was massive.  This has made me super cautious when I buy my travel insurance to make sure I am more than covered if the worst happened. 

Someone pasted crystal structures at this point:
____________
Record 1
Starting from a cell relaxed with PBE, the powder diffraction line list of KLiMg14O15 was simulated for Cu Kα, 1.54184 Å.
Neutral-atom scattering factors, no anomalous dispersion.

Crystal structure
```
KLiMg14O15
1.0
4.411 0.000 0.000
0.000 8.603 0.000
0.000 0.000 8.631
K Li Mg O
1 1 14 15
Direct
0.000 0.000 0.000 K
0.000 0.500 0.016 Li
0.000 0.000 0.492 Mg
0.000 0.229 0.747 Mg
0.000 0.254 0.233 Mg
0.000 0.500 0.472 Mg
0.000 0.746 0.233 Mg
0.000 0.771 0.747 Mg
0.500 0.000 0.242 Mg
0.500 0.000 0.743 Mg
0.500 0.252 0.494 Mg
0.500 0.258 0.987 Mg
0.500 0.500 0.225 Mg
0.500 0.500 0.754 Mg
0.500 0.742 0.987 Mg
0.500 0.748 0.494 Mg
0.000 0.000 0.270 O
0.000 0.000 0.718 O
0.000 0.265 0.505 O
0.000 0.281 0.976 O
0.000 0.500 0.246 O
0.000 0.719 0.976 O
0.000 0.735 0.505 O
0.500 0.000 0.495 O
0.500 0.000 0.983 O
0.500 0.253 0.242 O
0.500 0.258 0.740 O
0.500 0.500 0.508 O
0.500 0.500 0.985 O
0.500 0.742 0.740 O
0.500 0.747 0.242 O
```

Most intense lines, 2θ from 10° to 80°, in order of rising 2θ:
2θ 10.28, 8.605 Å, intensity 15.0; 2θ 22.65, 3.926 Å, intensity 8.9; 2θ 35.82, 2.507 Å, intensity 35.8; 2θ 40.92, 2.205 Å, intensity 100.0; 2θ 41.86, 2.158 Å, intensity 86.4; 2θ 42.01, 2.151 Å, intensity 86.0; 2θ 59.98, 1.542 Å, intensity 51.0; 2θ 60.09, 1.540 Å, intensity 51.0; 2θ 60.81, 1.523 Å, intensity 45.6; 2θ 75.91, 1.253 Å, intensity 43.1

***

Record 2
Starting from a cell relaxed with PBE, the powder diffraction line list of KLiMg6O7 was simulated for Cu Kα, 1.54184 Å.
Neutral-atom scattering factors, no anomalous dispersion.

Crystal structure
```
KLiMg6O7
1.0
4.157 0.000 0.000
0.000 4.157 0.000
0.000 0.000 11.043
K Li Mg O
1 1 6 7
Direct
0.000 0.000 0.000 K
0.000 0.000 0.510 Li
0.000 0.500 0.323 Mg
0.000 0.500 0.710 Mg
0.500 0.000 0.323 Mg
0.500 0.000 0.710 Mg
0.500 0.500 0.125 Mg
0.500 0.500 0.535 Mg
0.000 0.000 0.335 O
0.000 0.000 0.745 O
0.000 0.500 0.141 O
0.000 0.500 0.515 O
0.500 0.000 0.141 O
0.500 0.000 0.515 O
0.500 0.500 0.719 O
```

Most intense lines, 2θ from 10° to 80°, in order of rising 2θ:
2θ 16.05, 5.522 Å, intensity 26.2; 2θ 24.18, 3.681 Å, intensity 18.8; 2θ 26.85, 3.321 Å, intensity 27.7; 2θ 31.50, 2.840 Å, intensity 25.7; 2θ 32.48, 2.757 Å, intensity 40.9; 2θ 34.57, 2.595 Å, intensity 25.4; 2θ 40.86, 2.209 Å, intensity 32.9; 2θ 43.55, 2.078 Å, intensity 100.0; 2θ 61.24, 1.514 Å, intensity 33.0; 2θ 63.28, 1.470 Å, intensity 27.7

***

Record 3
Starting from a cell relaxed with PBE, the powder diffraction line list of KLiMg14O15 was simulated for Cu Kα, 1.54184 Å.
Neutral-atom scattering factors, no anomalous dispersion.

Crystal structure
```
KLiMg14O15
1.0
4.402 0.000 0.000
0.000 8.588 0.000
0.000 0.000 8.715
K Li Mg O
1 1 14 15
Direct
0.000 0.000 0.000 K
0.000 0.500 0.465 Li
0.000 0.000 0.490 Mg
0.000 0.229 0.731 Mg
0.000 0.251 0.257 Mg
0.000 0.500 0.012 Mg
0.000 0.749 0.257 Mg
0.000 0.771 0.731 Mg
0.500 0.000 0.245 Mg
0.500 0.000 0.736 Mg
0.500 0.253 0.979 Mg
0.500 0.256 0.492 Mg
0.500 0.500 0.248 Mg
____________
So much for the crystal structures:

2. Check your Passport. Some countries have different rules about passports for the USA you need a minimum of 6 months left on your passport from the date you exit the country. Funny story. Well now it is funny, it was not at the time. I was travelling on our honeymoon. We did not go straight on our honeymoon due to my husbands holidays at work. I did not realise I had not changed my name on my passport. I booked our honeymoon before the wedding and booked it in my married name. Luckily my husband checked our documents a few days before we left and noticed my error. After a few nerve-racking phone calls and an admin fee, my name was changed and we could still take our trip. So don't be like me check your passport. 

3. Check with your doctor. There are a few reasons to check in with your doctor before you travel. firstly do you need any vaccinations for the country you are travelling too? It is always recommended to make sure your tetanus injection is up to date. If it is recommended, I always get the malaria vaccination. You have to pay for this privately as it is not covered by the NHS but it is worth its weight in gold. Oxford Travel Vaccination Centre is an excellent independent travel clinic if you need any vaccines. Does anyone else think about when Cheryl Chole had malaria?
Whilst at the doctors you can stock up on any regular medication and check if it is legal in your country you travelling to. It is always recommended to have the prescription of your medicines with you. You can also request that your doctor write a letter on headed paper with a list of medications you take to save any hassle.

4. I am going to Andorra in our van conversion. If like me you are driving abroad there are a few things to get done. We have had a full service and check done on our van. We had to change the timing belt and water pump. It was not quite due but it is better to be safe than sorry. This is also the time to check out what the difference in the driving laws are in the country you are going to. For instance, there is a lot of items you need to have in your vehicle in France like a high-vis vest and full spare bulb kit. As we are travelling through France we must comply with the laws of the country. Also, a quick call to your motor insurance to make sure you are covered or to add on the cover for travelling in Europe and your vehicle all set to go. 

5. Documents. We have talked about our passports, but when you travel there are so many important documents you need to take with you from flight tickets to your hotel voucher. I like to have a copy of our documents in all sets of luggage. This is also great if your luggage goes missing as it can easily be sent back to you. I also leave a copy of the important documents left at home with my Inlaws. Just in case there is an emergency they have copies and it makes it easy to access them. I also include copies of our birth certificates and medical and car insurance in the bundle I give them. You just don't know what might happen so it is always better to be prepared. 
